Marc Köhlbrugge

Marc Köhlbrugge


Maker of WIP. Building various other projects as well. Writing book about domain names.
Joined September 2017

Nice. Sounds more interactive than your typical flash card app

Sounds intriguing. Can you tell us more about the app?

It's a desktop note-taking and Spaced Repetition app where you can highlight some word or sentence, and auto-generate flashcards with audio, examples, translations, definitions, etc.; but almost exclusively with human content (AI only for translations)

The idea is to involve the learner into reading/writing/listening/pronunciation as much possible via language production, and creation+curation of own learning materials - so there are a bunch of features geared towards that.

Nice. Sounds more interactive than your typical flash card app

Why desktop and not a website?

Because I think that everything that can work offline should work offline, and I want users to own their content.
I also think your notes should be private.

HEIC is a bit of a pain to deal with.

Do you use it with iOS? It should automatically convert to JPEG when you upload them.

Please share your setup (device, operating system, browser and where the images come from). I'll see what I can do

Understood, got it. Although I wonder if this HEIC trend will become more of a thing?

Oppo Find N2 Flip - uploaded via chrome browser (WIP PWA). The images come from the stock camera app. Although, it seems like when editing the photo it says "Convert to compatible format" which meant jpeg.

For now, I shall deactivate the "High efficiency image" option in the stock camera app.

Of course Sketch continues working even if you don’t update for years.

In your cases there’s a dependency on third party APIs. Which is why it’s not a good candidate for this type of model I think.

So maybe it should be a bit more than year. Or maybe it’s at least 3 years of free security/compatibility updates but not new features.

I would also develop it in such a way that it’s future proof. For example for AI stuff you might want to develop against

Right! OpenRouter is one of the providers they can add, and the whole thing is built with
But you know, typescript modules keep requiring updates.

I have this proposal from an LTD community (kenmoo), where he thinks that the product can do 1000s of sales if it's branded as LTD with lifetime support for everything.

But I just don't want to be legally locked in forever. He specifically wants it to be an LTD

I would price it as “$89 which includes 1 year of updates” similar to

For your current customers you can clarify this with the offer to email you to discuss any questions around it.

I think most will be fine with it and the few people that do reach out you could offer a refund, extended support, etc

Of course Sketch continues working even if you don’t update for years.

In your cases there’s a dependency on third party APIs. Which is why it’s not a good candidate for this type of model I think.

So maybe it should be a bit more than year. Or maybe it’s at least 3 years of free security/compatibility updates but not new features.

I would also develop it in such a way that it’s future proof. For example for AI stuff you might want to develop against

Right! OpenRouter is one of the providers they can add, and the whole thing is built with
But you know, typescript modules keep requiring updates.

I have this proposal from an LTD community (kenmoo), where he thinks that the product can do 1000s of sales if it's branded as LTD with lifetime support for everything.

But I just don't want to be legally locked in forever. He specifically wants it to be an LTD

This is one of the reasons I don't offer life-time deals.

When you offer life-time access, I think it's a fair assumption customers also receive life-time support. Unless of course, you make it abundantly clear that this is not the case. Although I'm not sure calling it a life-time deal is accurate then.

What type of support do your customers require? Are there ways to automate it?

There isn't a lot of support needed, since the app runs locally and is entirely on their end to talk to AI models with their own API keys.

But I'm expecting that keeping the system updated to work with changing underlying AI model APIs is going to be challenging in lifetime access.

I interpreted that they get access to updates, and bug fixes as long as the product exists. But hypothetically, if I choose to not work on the same project, I don't want to be locked-in legally

I would price it as “$89 which includes 1 year of updates” similar to

For your current customers you can clarify this with the offer to email you to discuss any questions around it.

I think most will be fine with it and the few people that do reach out you could offer a refund, extended support, etc

Of course Sketch continues working even if you don’t update for years.

In your cases there’s a dependency on third party APIs. Which is why it’s not a good candidate for this type of model I think.

So maybe it should be a bit more than year. Or maybe it’s at least 3 years of free security/compatibility updates but not new features.

I would also develop it in such a way that it’s future proof. For example for AI stuff you might want to develop against

Right! OpenRouter is one of the providers they can add, and the whole thing is built with
But you know, typescript modules keep requiring updates.

I have this proposal from an LTD community (kenmoo), where he thinks that the product can do 1000s of sales if it's branded as LTD with lifetime support for everything.

But I just don't want to be legally locked in forever. He specifically wants it to be an LTD

Do you mean your current streak count seems incorrect? Because I just checked the data and it seems accurate.

Or do you mean that it was something like 8 for a few days in a row and then suddenly skipped to 10 today?

I'm sorry; I think I must have counted wrongly.

What I thought happened was it was stuck at 8 for 2 more days when it should have gone up to 10 2 days ago (so 12 today). I thought so because I happened to be looking at the counter when I posted an item and it didn't update, so I refreshed the page to be sure.

But I just noticed that I might have broken the streak 10 days ago. Bit strange. Maybe it's me.

Hmm I’m not sure it works that way. I really advice you to talk to tax advisor.

And yes I did give up my Dutch residency (not nationality). You’re required by law if you’re less than 183 days a year in the country.

Thanks! Can you share if you have a residency somewhere or not at all? Btw you can always own foreign companies, it would be a bit weird if you couldn't (from the point of my country preventing me owning something somewhere).

<<<
1.
Density functional theory data (PBE+U) for crystalline Li2TiFe3O8 at its relaxed geometry.

Structure (CIF):
```
data_Li2TiFe3O8
_cell_length_a 5.9800
_cell_length_b 5.9867
_cell_length_c 10.3311
_cell_angle_alpha 73.52
_cell_angle_beta 73.83
_cell_angle_gamma 60.32
_space_group_name_H-M_alt 'P 1'
_space_group_IT_number 1
_space_group_name_Hall 'P 1'
loop_
_atom_site_label
_atom_site_type_symbol
_atom_site_fract_x
_atom_site_fract_y
_atom_site_fract_z
Li1 Li 0.0599 0.0639 0.3112
Li2 Li 0.4308 0.4531 0.1885
Li3 Li 0.5692 0.5469 0.8115
Li4 Li 0.9401 0.9361 0.6888
Ti1 Ti 0.2717 0.2218 0.7501
Ti2 Ti 0.7283 0.7782 0.2499
Fe1 Fe 0.0000 0.0000 0.0000
Fe2 Fe 0.0000 0.5000 0.0000
Fe3 Fe 0.0000 0.5000 0.5000
Fe4 Fe 0.5000 0.0000 0.0000
Fe5 Fe 0.5000 0.0000 0.5000
Fe6 Fe 0.5000 0.5000 0.5000
O1 O 0.0898 0.6659 0.1164
O2 O 0.1285 0.1247 0.1035
O3 O 0.1331 0.5872 0.6186
O4 O 0.1482 0.1330 0.6244
O5 O 0.3497 0.3592 0.8749
O6 O 0.3541 0.3751 0.3965
O7 O 0.3694 0.8982 0.8744
O8 O 0.4062 0.8557 0.3759
O9 O 0.5938 0.1443 0.6241
O10 O 0.6306 0.1018 0.1256
O11 O 0.6459 0.6249 0.6035
O12 O 0.6503 0.6408 0.1251
O13 O 0.8518 0.8670 0.3756
O14 O 0.8669 0.4128 0.3814
O15 O 0.8715 0.8753 0.8965
O16 O 0.9102 0.3341 0.8836
```

Values from the calculation:
- formation energy (kJ/mol of atoms) = -207.64

=====

2.
Density functional theory data (PBE+U) for crystalline Li5Ti2Fe3O10 at its relaxed geometry.

Structure (CIF):
```
data_Li5Ti2Fe3O10
_cell_length_a 5.1943
_cell_length_b 5.2159
_cell_length_c 7.9168
_cell_angle_alpha 70.95
_cell_angle_beta 71.30
_cell_angle_gamma 80.23
_space_group_name_H-M_alt 'P 1'
_space_group_IT_number 1
_space_group_name_Hall 'P 1'
loop_
_atom_site_label
_atom_site_type_symbol
_atom_site_fract_x
_atom_site_fract_y
_atom_site_fract_z
Li1 Li 0.0000 0.0000 0.0000
Li2 Li 0.0031 0.3710 0.1975
Li3 Li 0.0139 0.8119 0.3863
Li4 Li 0.0211 0.1978 0.5839
Li5 Li 0.5107 0.1017 0.2869
Ti1 Ti 0.4877 0.7065 0.1008
Ti2 Ti 0.5283 0.4987 0.4808
Fe1 Fe 0.0075 0.5907 0.7956
Fe2 Fe 0.5094 0.2944 0.8977
Fe3 Fe 0.5130 0.9038 0.6856
O1 O 0.2682 0.0196 0.1417
O2 O 0.2768 0.8181 0.5526
O3 O 0.2812 0.6597 0.9423
O4 O 0.2822 0.2486 0.7209
O5 O 0.2907 0.4651 0.3341
O6 O 0.7300 0.7287 0.2487
O7 O 0.7367 0.9336 0.8520
O8 O 0.7423 0.1641 0.4562
O9 O 0.7455 0.5656 0.6262
O10 O 0.7501 0.3731 0.0389
```

Values from the calculation:
- formation energy (kJ/mol of atoms) = -236.79

=====

Question: Which formula does entry 2 have?
Answer: Li5Ti2Fe3O10
>>>

Oh right. Yeah I would definitely check with your local tax advisor. You typically can’t simply incorporate in another country to minimize taxes while remain living and working in your current country.

I think you can register elsewhere just might need pay some taxes. I am not trying to pay 0% eu taxes I am trying to find a way from possible accounting hell :) You really moved out of EU?

Hmm I’m not sure it works that way. I really advice you to talk to tax advisor.

And yes I did give up my Dutch residency (not nationality). You’re required by law if you’re less than 183 days a year in the country.

Thanks! Can you share if you have a residency somewhere or not at all? Btw you can always own foreign companies, it would be a bit weird if you couldn't (from the point of my country preventing me owning something somewhere).

Yeah I used MOSS to pay taxes to all EU countries in one go. Didn’t need a tax advisor for that. Maybe once to explain it but after you can do it yourself.

But eventually as your business grows you want to delegate all tax stuff anyway
